Principals` Message

# Inserted here: quantum chemistry results
'''
The following is a DFT calculation (the ωB97M-V functional and the def2-TZVPD basis) of C4H10O4P2 in the gas phase.

Properties
SMILES string ... OP1#P(O)C(O)(O)CCC1
HOMO level ... -8.26 eV
Multiplicity ... 1
Charge ... 0
Electronic energy ... -31077.9675 eV

Geometry (Å):
O -3.23356 0.20505 -0.00550
P -1.84335 0.11678 -0.89601
P -0.94673 -1.68331 0.09672
O -1.02848 -1.13217 1.64832
C 1.11872 -0.94300 -0.39352
O 1.31352 -0.91891 -1.76364
O 1.82955 -1.96448 0.23632
C 1.37954 0.41290 0.22949
C 0.50440 1.54019 -0.30723
C -0.95821 1.40930 0.09714
H -3.98975 -0.20834 -0.42321
H -0.71690 -1.80366 2.25983
H 1.19657 -1.81251 -2.10723
H 2.77268 -1.75141 0.23460
H 2.42858 0.66404 0.04042
H 1.24400 0.31547 1.30875
H 0.90241 2.48066 0.07753
H 0.58830 1.56183 -1.39688
H -1.06925 1.16483 1.15942
H -1.49205 2.34674 -0.09533

Löwdin atomic charge list, values in e, 6 entries: -0.401, 0.707, 0.810, -0.421, -0.671, -0.014

The following is a DFT calculation (the ωB97M-V functional and the def2-TZVPD basis) of a molecular structure, C4H10O5.

Properties
HOMO level ... -8.90 eV
Multiplicity ... 1
Charge ... 0
Electronic energy ... -14545.5073 eV

Geometry (Å):
C 1.30038 -0.18689 -0.96992
C -0.68900 1.07837 -0.05053
C -0.38605 2.30303 0.36545
O 1.66935 0.85660 -1.72796
O 1.89904 -0.51154 0.06273
O 0.49000 -1.03151 -1.59534
O -1.44245 0.83365 -1.18008
H 2.24340 1.43788 -1.21018
H 0.92451 -0.89558 1.07050
H -0.17114 -0.52839 -2.10919
H -1.62290 1.66204 -1.65207
H -0.67204 3.20168 -0.17547
H 0.15562 2.44333 1.28635
C -0.66737 -2.20678 1.39917
O -0.02520 -0.95256 1.61276
H -0.50936 0.07134 0.82005
H -0.11508 -2.99203 1.91703
H -0.70465 -2.43833 0.33266
H -1.67706 -2.14429 1.80404

Löwdin atomic charge list, values in e, 6 entries: -0.633, -0.320, -0.010, 0.149, 0.085, 0.151

The following is a DFT calculation (the ωB97M-V functional and the def2-TZVPD basis) of 2 unconnected molecules or ions with the total composition C4H10OS.

Properties
SMILES string ... C=CO.CCS
HOMO level ... -8.86 eV
Multiplicity ... 1
Charge ... 0
Electronic energy ... -17191.5477 eV

Geometry (Å):
C 2.03144 1.31108 -0.81802
C 2.93514 0.43942 -0.40180
O 2.58947 -0.85800 -0.12249
H 2.25514 2.36736 -0.77228
H 1.11874 0.96949 -1.28767
H 3.95616 0.68354 -0.13630
H 3.37302 -1.42179 -0.20318
C -2.22618 -1.44143 0.72033
C -1.78981 0.02920 0.57940
S -2.75258 0.80632 -0.73685
H -2.03760 -1.78576 1.73145
H -3.23483 -1.55616 0.35954
H -1.54567 -2.08569 0.16870
H -0.74528 0.09564 0.30426
H -1.91801 0.54070 1.52883
H -2.00915 1.90607 -0.91390

Löwdin atomic charge list, values in e, 6 entries: 0.005, -0.285, -0.021, 0.051, 0.055, 0.106

The following is a DFT calculation (the ωB97M-V functional and the def2-TZVPD basis) of C4H10OS in the gas phase.

Properties
SMILES string ... C=[S@@](C)(=O)CC
HOMO level ... -7.68 eV
Multiplicity ... 1
Charge ... 0
Electronic energy ... -17188.4978 eV

Geometry (Å):
C -0.12176 -1.13576 -1.53282
S -0.68062 -0.60560 0.04684
C -2.07593 0.96263 0.27391
'''

Welcome to Term 3! There is another wonderful term ahead of us with so many great learning opportunities happening. We have excursions to the Victorian Arts Centre and Merri Creek plus last Friday’s excursion to Caulfield Junior College for Bastille Day. We're equally excited about the approaching Science Week and Book Week celebrations. These diverse experiences not only deepen your child's academic knowledge but also play a crucial role in their social and emotional development. We thank you for supporting your child with their attendance and involvement in these learning experiences.

[1]
Formula: C49H126N6O16
Source: the OMol25 dataset
Level of theory: ωB97M-V/def2-TZVPD

Computed properties:
LUMO level (spin up / spin down) = -2.1 / -7.2 eV
Molecular weight = 1055.6 g/mol
Relative energy (zero: lowest compared OMol25 entry of this formula, charge and spin) = 0.0 kcal per mole

```
! wB97M-V def2-TZVPD RIJCOSX def2/J DEFGRID3
* xyz 1 2
O -11.526 -51.450 13.145
O -6.299 -40.956 11.847
O -10.517 -39.212 13.958
O -15.121 -45.021 9.526
O -5.916 -43.583 14.730
O -14.909 -50.576 7.631
O -7.613 -35.940 16.145
O -13.870 -42.588 10.189
O -9.563 -46.149 16.155
O -11.126 -47.464 7.209
O -15.131 -41.621 17.586
O -11.433 -46.098 12.180
O -8.635 -44.154 9.494
O -14.498 -41.663 12.638
O -7.478 -47.903 10.351
O -9.902 -38.802 8.404
N -7.649 -38.765 10.460
N -11.520 -42.630 13.156
N -6.953 -38.288 18.987
N -8.425 -43.464 16.235
N -6.397 -45.259 10.729
N -14.103 -47.737 8.177
C -6.931 -38.449 11.650
C -7.330 -44.354 11.394
C -6.407 -42.338 15.304
C -5.913 -46.335 11.664
C -11.694 -50.092 12.760
C -10.320 -39.321 7.150
C -7.259 -38.932 16.726
C -7.872 -36.599 17.443
C -11.130 -40.480 14.155
C -9.744 -39.726 9.496
C -11.371 -38.119 14.409
C -15.602 -40.802 12.709
C -14.014 -42.450 17.535
C -15.759 -40.489 14.181
C -11.214 -43.627 12.083
C -9.844 -43.642 16.179
C -12.078 -46.372 7.348
C -13.752 -42.672 16.063
C -15.369 -49.509 6.830
C -7.920 -43.343 10.353
C -10.205 -45.009 16.760
C -13.941 -41.791 9.067
C -9.760 -47.112 7.482
C -13.577 -46.889 7.107
C -4.613 -43.528 14.378
C -6.661 -39.742 12.495
C -10.687 -41.472 13.032
C -9.041 -38.968 10.648
C -14.207 -43.661 18.378
C -12.099 -44.838 12.250
C -15.153 -51.840 6.934
C -7.690 -49.224 10.143
C -11.192 -46.618 10.880
C -13.203 -42.632 7.947
C -16.398 -44.190 11.364
C -12.930 -50.059 11.837
C -8.613 -34.973 15.850
C -11.913 -49.301 14.045
C -15.413 -48.239 7.756
C -7.920 -42.469 15.310
C -15.157 -39.583 11.957
C -4.976 -40.982 11.201
C -15.898 -46.582 11.194
C -6.883 -37.750 17.653
C -15.415 -41.483 8.584
C -9.227 -43.453 8.391
C -9.984 -46.314 14.770
C -16.211 -45.347 10.372
C -6.933 -47.493 11.647
H -8.350 -34.485 14.911
H -9.674 -46.485 8.370
H -13.249 -44.169 18.490
H -14.528 -39.809 11.096
H -9.554 -38.015 10.779
H -5.978 -42.247 16.302
H -8.010 -44.364 16.043
H -9.447 -45.672 14.072
H -11.635 -38.226 15.461
H -16.420 -39.639 14.350
H -13.205 -41.876 17.985
H -10.066 -45.068 17.840
H -11.024 -46.046 14.589
H -12.508 -42.426 13.212
H -10.426 -38.532 6.405
H -6.568 -48.387 12.151
H -7.811 -38.719 19.300
H -16.001 -47.458 7.273
H -8.175 -44.910 11.801
H -15.539 -44.028 12.015
H -12.862 -43.281 15.899
H -4.500 -43.030 13.415
H -17.159 -45.476 9.850
H -13.414 -48.471 8.258
H -11.274 -45.197 16.665
H -9.420 -46.417 6.714
H -16.502 -41.305 12.353
H -11.405 -43.165 11.115
H -12.140 -42.604 8.186
H -4.236 -44.546 14.273
H -12.916 -44.843 11.528
H -15.875 -42.421 8.275
H -7.566 -40.033 13.028
H -13.315 -42.195 6.954
H -10.896 -37.137 14.399
H -8.544 -43.070 7.633
H -13.395 -40.856 9.195
Here the article continues:


Parent Teacher Conferences

Next week parent teacher conferences will be held, and we encourage all parents/carers to make a time to meet with your child(ren)'s classroom teacher(s) to discuss your child's progress during semester one and set personal learning goals for the second semester.  You can make a booking through Compass, if you are unable to do this, please see your child(ren)’s classroom teacher or the office staff.


Bastille Day

Last Friday the Foundation-4 students were invited to Caulfield Junior College to participate in their Bastille Day celebrations. Staff and students thoroughly enjoyed their visit as you can see later in this newsletter issue. It was a fantastic experience for all, and we were very grateful for how welcoming and inclusive the staff and students at CJC were.


Performing Arts

It is with great pleasure and excitement that we extend a warm welcome to our new Performing Arts teacher, Bree McKernan.  Bree brings with her a wealth of experience and passion for the performing arts, which will undoubtedly inspire our students to explore their artistic talents. The Performing Arts program has begun this week with our Grade 3-6's focusing on Drama and the F-2’s working on Music for this term.


Lost property

The mountain of jackets continues to grow and so we take this opportunity to remind parents/carers to check that your child's clothing is clearly named so that we can easily return lost items. If your child is missing a few items, please take a few minutes to have a look in the Lost Property box, which is located in the room close to the office.

== Inserted here: molecular data ==
-- begin --
No. 1
This record from OMol25 describes a 2-piece molecular cluster, C4H10OS overall at a distorted geometry. The level of theory is ωB97M-V with the def2-TZVPD basis set.

Properties
**E_LUMO**: 0.02844 Ha
**Energy**: -631.8135 Ha
**F_max**: 2.2 eV/A
**Highest occupied orbital energy**: -8.553 eV
**Structure (SMILES)**: C1CCSC1.O
**ΔE to the lowest compared entry with this formula, charge and spin**: 29.38 kJ/mol

Element x y z (Å)
S  -1.365  0.456  -0.210
C  -0.313  -0.966  0.143
C  0.028  1.553  0.301
C  0.886  -0.575  0.971
C  0.726  0.849  1.473
H  -1.069  -1.676  0.531
H  0.022  -1.339  -0.844
H  0.649  1.633  -0.611
H  -0.371  2.561  0.526
H  1.030  -1.309  1.787
H  1.793  -0.596  0.336
H  1.714  1.266  1.747
H  0.154  0.697  2.408
O  -1.607  -1.041  -3.018
H  -0.821  -1.442  -2.582
H  -1.456  -0.070  -2.958

Löwdin atomic charge list, values in e, 4 entries:
1. S 0.84
2. C -0.50
3. C -0.46
4. C -0.28


No. 2
This record from OMol25 describes a 2-piece molecular cluster, C4H7F3NO overall at a distorted geometry. The level of theory is ωB97M-V with the def2-TZVPD basis set.

Properties
**E_LUMO (spin up / spin down)**: 0.14974 / 0.14973 Ha
**Net charge**: -1
**Energy**: -586.1102 Ha
**F_max**: 4.2 eV/A
**Highest occupied orbital energy (spin up / spin down)**: -2.188 / -2.189 eV

Element x y z (Å)
C  -0.160  -0.676  -1.078
C  0.224  0.657  1.185
C  -0.733  -0.038  0.184
C  -1.211  1.835  -1.180
N  -1.798  -0.635  0.689
O  -2.205  -0.305  1.925
F  -1.860  1.341  -2.247
F  -1.878  2.964  -0.845
F  0.085  2.247  -1.553
H  0.977  -0.654  -1.020
H  -0.606  -0.262  -1.988
H  -0.560  -1.640  -1.123
H  0.181  0.014  2.077
H  -0.209  1.588  1.453
H  1.195  0.835  0.744
H  -2.379  -1.232  0.159

Löwdin atomic charge list, values in e, 4 entries:
1. C -0.07
2. C -0.05
3. C -0.36
4. C -0.52

* * * * *

(1)
Here is a 7-piece molecular cluster, C29H34F6O22S overall from OMol25. Energies are from ωB97M-V/def2-TZVPD.

CARTESIAN COORDINATES (ANGSTROEM)
C1 0.70 0.06 3.03
C2 2.01 0.22 2.24
C3 1.82 -0.30 0.79
C4 2.46 1.69 2.27
C5 1.47 2.64 1.54
C6 2.15 3.28 0.31
C7 0.91 3.75 2.43
O1 -0.50 4.02 2.17
C8 -1.31 2.99 2.44
C9 -1.85 2.08 1.61
S1 -1.68 1.99 -0.12
C10 -2.59 1.11 2.43
O2 -3.23 0.16 2.07
O3 -2.45 1.46 3.75
C11 -1.80 2.68 3.82
O4 -1.73 3.31 4.83
H1 0.59 -0.96 3.40
H2 0.68 0.74 3.88
H3 -0.16 0.27 2.40
H4 2.76 -0.39 2.73
H5 2.28 0.37 0.07
H6 0.75 -0.35 0.55
H7 2.23 -1.29 0.68
H8 3.44 1.78 1.79
H9 2.60 1.99 3.31
H10 0.66 2.03 1.15
H11 1.40 3.74 -0.33
H12 2.71 2.54 -0.25
H13 2.84 4.05 0.63
H14 1.08 3.57 3.49
H15 1.40 4.68 2.19
H16 -1.14 0.77 -0.22
O5 -1.02 0.03 -2.41
C12 -1.93 0.05 -3.18
O6 -2.81 1.05 -3.33
C13 -3.70 0.72 -4.41
C14 -3.57 -0.79 -4.46
F1 -3.68 -1.28 -5.71
O7 -2.24 -0.99 -4.00
H17 -3.33 1.17 -5.33
H18 -4.70 1.07 -4.19
H19 -4.26 -1.32 -3.80
O8 3.86 -3.22 -0.35
C15 2.89 -3.89 -0.48
O9 2.84 -5.04 -1.20
C16 1.54 -5.63 -1.02
C17 0.71 -4.44 -0.60
F2 -0.25 -4.76 0.28
O10 1.68 -3.61 0.04
H20 1.59 -6.36 -0.21
H21 1.21 -6.10 -1.93
H22 0.27 -3.88 -1.43
-- stop --


Foundation 2024

If you have a child who will be starting Foundation next year, we would appreciate your support by handing in your enrolment forms as soon as possible, as we are in the process of planning for next year. Most of our planning is based on the number of enrolled students. Please let the office know if you would like us to send an enrolment pack home with your eldest child. If anyone knows of any other families not already attending our school and who have a child ready to begin Foundation next year, we would also appreciate your support in encouraging them to think about enrolling their child at our wonderful school. For those families that have already enrolled, you will soon receive an enrolment confirmation letter and details about our transition program.



-Angela Richmond & Andrea Hennessey